Given:
'''
Starting from DFT lattice parameters and positions (GGA-PBE), the powder X-ray diffraction pattern of Mg8CdSn6 was calculated for λ = 1.5418 Å (Cu Kα).
Lines closer than 0.1° are merged.

Main lines, in order of rising 2θ (2θ from 10° to 90°):
two_theta  I (rel.)
21.28  22
25.25  100
34.68  79
37.30  78
45.58  21
46.71  47
51.84  25
65.59  25

Crystal structure
Unit cell a=8.164 b=8.164 c=8.164 alpha=61.53 beta=61.53 gamma=61.53
Atoms (fractional coordinates):
1 Mg 0.058 0.716 0.385
2 Mg 0.167 0.167 0.167
3 Mg 0.284 0.615 0.942
4 Mg 0.385 0.058 0.716
5 Mg 0.615 0.942 0.284
6 Mg 0.716 0.385 0.058
7 Mg 0.833 0.833 0.833
8 Mg 0.942 0.284 0.615
9 Cd 0.500 0.500 0.500
10 Sn 0.094 0.431 0.767
11 Sn 0.233 0.906 0.569
12 Sn 0.431 0.767 0.094
13 Sn 0.569 0.233 0.906
14 Sn 0.767 0.094 0.431
15 Sn 0.906 0.569 0.233

~~~~~

Simulated powder diffractogram of Li2V3P3O12 for Cu Kα (weighted mean of Kα1 and Kα2), from a cell relaxed with PBE+U.

Peak list (10 most intense, 2θ from 10° to 80°, in order of rising 2θ)
19.80 deg, d 4.483, rel. 75, hkl 0 2 0
23.71 deg, d 3.753, rel. 100, hkl 3 1 0
23.85 deg, d 3.730, rel. 50, hkl 1 1 -2
30.74 deg, d 2.909, rel. 17, hkl 2 2 1
32.92 deg, d 2.721, rel. 34, hkl 5 1 -1
33.00 deg, d 2.714, rel. 31, hkl 4 2 -2
33.15 deg, d 2.702, rel. 29, hkl 3 1 -3
34.66 deg, d 2.588, rel. 65, hkl 2 0 2
48.52 deg, d 1.876, rel. 29, hkl 6 2 0
60.93 deg, d 1.520, rel. 16, hkl 6 4 0

a = 14.6155 Å, b = 8.9823 Å, c = 8.5173 Å
α = 90.00°, β = 121.95°, γ = 90.00°
Space group C2 (No. 5)
Symmetry-distinct sites (fractional):
Li1 0.0000 0.0000 0.0000
Li2 0.0000 0.2944 0.5000
Li3 0.2014 0.6898 0.8994
V1 0.0995 0.3909 0.8973
V2 0.1038 0.8879 0.3924
V3 0.2485 0.3892 0.7433
P1 0.0000 0.5955 0.5000
P2 0.0000 0.6987 0.0000
P3 0.1451 0.0363 0.8021
P4 0.1568 0.2358 0.3122
O1 0.0380 0.9968 0.7873
O2 0.0493 0.2838 0.2877
O3 0.0529 0.6932 0.4244
O4 0.0641 0.6099 0.9384
O5 0.0855 0.8108 0.1505
O6 0.0883 0.4879 0.6499
O7 0.1466 0.9748 0.6377
O8 0.1668 0.2089 0.8128
O9 0.1688 0.0609 0.3213
O10 0.1728 0.2787 0.1543
O11 0.2358 0.9733 0.9955
O12 0.2457 0.3031 0.5031

~~~~~

Theoretical powder X-ray diffraction pattern
Compound: Rb2LaAgCl6
Radiation: Cu Kα
Structure: a DFT-relaxed cell (PBE, the Materials Project)
Kinematic intensities with the Lorentz-polarization factor, no thermal factor.

Crystal structure
```
data_Rb2LaAgCl6
_chemical_formula_sum 'Rb8 La4 Ag4 Cl24'
_cell_length_a 11.0292
_cell_length_b 11.0292
_cell_length_c 11.0292
_cell_angle_alpha 90.00
_cell_angle_beta 90.00
_cell_angle_gamma 90.00
_symmetry_space_group_name_H-M 'F m -3 m'
_symmetry_Int_Tables_number 225
_symmetry_space_group_name_Hall '-F 4 2 3'
loop_
_atom_site_label
_atom_site_type_symbol
_atom_site_fract_x
_atom_site_fract_y
_atom_site_fract_z
Rb1 Rb 0.2500 0.2500 0.2500
La1 La 0.0000 0.0000 0.0000
Ag1 Ag 0.0000 0.0000 0.5000
Cl1 Cl 0.0000 0.0000 0.2508
```

Most intense lines, 2θ = 10–90°, in order of rising 2θ:
two_theta  d (Å)  I (rel.)  (hkl)
16.07  5.515  22  2 0 0
22.81  3.899  100  2 2 0
32.47  2.757  69  4 0 0
40.05  2.251  47  4 2 2
46.58  1.950  47  4 4 0
52.47  1.744  21  6 2 0
57.93  1.592  16  4 4 4
63.08  1.474  25  6 4 2
77.39  1.233  20  8 4 0
86.45  1.126  15  8 4 4

Theoretical powder X-ray diffraction pattern
Compound: Na2S
Radiation: Cu Kα
Structure: a DFT-relaxed cell (PBE, the Materials Project)
Kinematic intensities with the Lorentz-polarization factor, no thermal factor.

Crystal structure
```
data_Na2S
_chemical_formula_sum 'Na4 S2'
_cell_length_a 4.6635
_cell_length_b 4.6635
_cell_length_c 6.6360
_cell_angle_alpha 90.00
_cell_angle_beta 90.00
_cell_angle_gamma 120.00
_symmetry_space_group_name_H-M 'P 63/m m c'
_symmetry_Int_Tables_number 194
_symmetry_space_group_name_Hall '-P 6c 2c'
loop_
_atom_site_label
_atom_site_type_symbol
_atom_site_fract_x
_atom_site_fract_y
_atom_site_fract_z
Na1 Na 0.0000 0.0000 0.0000
Na2 Na 0.3333 0.6667 0.2500
S1 S 0.3333 0.6667 0.7500
```

Most intense lines, 2θ = 10–90°, in order of rising 2θ:
'''

Activity:
Please type out the notes above from the line with "(Cu Kα)." to the end unchanged.

Done:
Starting from DFT lattice parameters and positions (GGA-PBE), the powder X-ray diffraction pattern of Mg8CdSn6 was calculated for λ = 1.5418 Å (Cu Kα).
Lines closer than 0.1° are merged.

Main lines, in order of rising 2θ (2θ from 10° to 90°):
two_theta  I (rel.)
21.28  22
25.25  100
34.68  79
37.30  78
45.58  21
46.71  47
51.84  25
65.59  25

Crystal structure
Unit cell a=8.164 b=8.164 c=8.164 alpha=61.53 beta=61.53 gamma=61.53
Atoms (fractional coordinates):
1 Mg 0.058 0.716 0.385
2 Mg 0.167 0.167 0.167
3 Mg 0.284 0.615 0.942
4 Mg 0.385 0.058 0.716
5 Mg 0.615 0.942 0.284
6 Mg 0.716 0.385 0.058
7 Mg 0.833 0.833 0.833
8 Mg 0.942 0.284 0.615
9 Cd 0.500 0.500 0.500
10 Sn 0.094 0.431 0.767
11 Sn 0.233 0.906 0.569
12 Sn 0.431 0.767 0.094
13 Sn 0.569 0.233 0.906
14 Sn 0.767 0.094 0.431
15 Sn 0.906 0.569 0.233

~~~~~

Simulated powder diffractogram of Li2V3P3O12 for Cu Kα (weighted mean of Kα1 and Kα2), from a cell relaxed with PBE+U.

Peak list (10 most intense, 2θ from 10° to 80°, in order of rising 2θ)
19.80 deg, d 4.483, rel. 75, hkl 0 2 0
23.71 deg, d 3.753, rel. 100, hkl 3 1 0
23.85 deg, d 3.730, rel. 50, hkl 1 1 -2
30.74 deg, d 2.909, rel. 17, hkl 2 2 1
32.92 deg, d 2.721, rel. 34, hkl 5 1 -1
33.00 deg, d 2.714, rel. 31, hkl 4 2 -2
33.15 deg, d 2.702, rel. 29, hkl 3 1 -3
34.66 deg, d 2.588, rel. 65, hkl 2 0 2
48.52 deg, d 1.876, rel. 29, hkl 6 2 0
60.93 deg, d 1.520, rel. 16, hkl 6 4 0

a = 14.6155 Å, b = 8.9823 Å, c = 8.5173 Å
α = 90.00°, β = 121.95°, γ = 90.00°
Space group C2 (No. 5)
Symmetry-distinct sites (fractional):
Li1 0.0000 0.0000 0.0000
Li2 0.0000 0.2944 0.5000
Li3 0.2014 0.6898 0.8994
V1 0.0995 0.3909 0.8973
V2 0.1038 0.8879 0.3924
V3 0.2485 0.3892 0.7433
P1 0.0000 0.5955 0.5000
P2 0.0000 0.6987 0.0000
P3 0.1451 0.0363 0.8021
P4 0.1568 0.2358 0.3122
O1 0.0380 0.9968 0.7873
O2 0.0493 0.2838 0.2877
O3 0.0529 0.6932 0.4244
O4 0.0641 0.6099 0.9384
O5 0.0855 0.8108 0.1505
O6 0.0883 0.4879 0.6499
O7 0.1466 0.9748 0.6377
O8 0.1668 0.2089 0.8128
O9 0.1688 0.0609 0.3213
O10 0.1728 0.2787 0.1543
O11 0.2358 0.9733 0.9955
O12 0.2457 0.3031 0.5031

~~~~~

Theoretical powder X-ray diffraction pattern
Compound: Rb2LaAgCl6
Radiation: Cu Kα
Structure: a DFT-relaxed cell (PBE, the Materials Project)
Kinematic intensities with the Lorentz-polarization factor, no thermal factor.

Crystal structure
```
data_Rb2LaAgCl6
_chemical_formula_sum 'Rb8 La4 Ag4 Cl24'
_cell_length_a 11.0292
_cell_length_b 11.0292
_cell_length_c 11.0292
_cell_angle_alpha 90.00
_cell_angle_beta 90.00
_cell_angle_gamma 90.00
_symmetry_space_group_name_H-M 'F m -3 m'
_symmetry_Int_Tables_number 225
_symmetry_space_group_name_Hall '-F 4 2 3'
loop_
_atom_site_label
_atom_site_type_symbol
_atom_site_fract_x
_atom_site_fract_y
_atom_site_fract_z
Rb1 Rb 0.2500 0.2500 0.2500
La1 La 0.0000 0.0000 0.0000
Ag1 Ag 0.0000 0.0000 0.5000
Cl1 Cl 0.0000 0.0000 0.2508
```

Most intense lines, 2θ = 10–90°, in order of rising 2θ:
two_theta  d (Å)  I (rel.)  (hkl)
16.07  5.515  22  2 0 0
22.81  3.899  100  2 2 0
32.47  2.757  69  4 0 0
40.05  2.251  47  4 2 2
46.58  1.950  47  4 4 0
52.47  1.744  21  6 2 0
57.93  1.592  16  4 4 4
63.08  1.474  25  6 4 2
77.39  1.233  20  8 4 0
86.45  1.126  15  8 4 4

Theoretical powder X-ray diffraction pattern
Compound: Na2S
Radiation: Cu Kα
Structure: a DFT-relaxed cell (PBE, the Materials Project)
Kinematic intensities with the Lorentz-polarization factor, no thermal factor.

Crystal structure
```
data_Na2S
_chemical_formula_sum 'Na4 S2'
_cell_length_a 4.6635
_cell_length_b 4.6635
_cell_length_c 6.6360
_cell_angle_alpha 90.00
_cell_angle_beta 90.00
_cell_angle_gamma 120.00
_symmetry_space_group_name_H-M 'P 63/m m c'
_symmetry_Int_Tables_number 194
_symmetry_space_group_name_Hall '-P 6c 2c'
loop_
_atom_site_label
_atom_site_type_symbol
_atom_site_fract_x
_atom_site_fract_y
_atom_site_fract_z
Na1 Na 0.0000 0.0000 0.0000
Na2 Na 0.3333 0.6667 0.2500
S1 S 0.3333 0.6667 0.7500
```

Most intense lines, 2θ = 10–90°, in order of rising 2θ: